• Given:
Entry 1:
Compound: CeNdAgAu
Source: Alexandria
Functional: GGA-PBE
Structure: optimized geometry

Summary:
Total moment   1.13 μB/cell
Calculated total energy   -4.61 eV per atom
Calculated formation energy   -1.63 eV/f.u.

abc: 5.265 5.265 5.265
angles: 60.00 60.00 60.00
Positions (direct):
Ce 0.000 0.000 0.000
Nd 0.500 0.500 0.500
Ag 0.250 0.250 0.250
Au 0.750 0.750 0.750

***

Entry 2:
Compound: CePaAgAu
Source: Alexandria
Functional: GGA-PBE
Structure: optimized geometry

Summary:
Total moment   2.43 μB/cell
Calculated total energy   -5.45 eV per atom
Calculated formation energy   -0.24 eV/f.u.

abc: 5.165 5.165 5.165
angles: 60.00 60.00 60.00
Positions (direct):
Ce 0.000 0.000 0.000
Pa 0.500 0.500 0.500
Ag 0.750 0.750 0.750
Au 0.250 0.250 0.250

***

Entry 3:
Compound: CeAgPbAu
Source: Alexandria
Functional: GGA-PBE
Structure: optimized geometry

Summary:
Total moment   0.82 μB/cell
Calculated total energy   -4.32 eV per atom
Calculated formation energy   -1.52 eV/f.u.

abc: 5.133 5.133 5.133
angles: 60.00 60.00 60.00
Positions (direct):
Ce 0.000 0.000 0.000
Ag 0.250 0.250 0.250
Pb 0.500 0.500 0.500
Au 0.750 0.750 0.750

~~~~~

A relaxed YTm2Ni crystal. Source: Alexandria, functional GGA-PBE.

Values from the calculation:
Magnetic moment: 0.00 μB/f.u.
Formation energy from the elements: -97 meV/atom
Total DFT energy (no corrections): -5.39 eV per atom
Volume: 322 Å³/cell

a b c (Å): 3.6547 3.6547 27.8316
angles (deg): 90.00 90.00 120.00
With the nearest neighbours (Å) after each atom.
Space group R-3m (No. 166, hexagonal axes)
Asymmetric unit:
Y 0.0000 0.0000 0.0000  6 Tm 3.65, 6 Y 3.65
Tm 0.0000 0.0000 0.2262  3 Ni 2.68
Ni 0.0000 0.0000 0.5000  6 Tm 2.68

~~~~~

ZnCr2W: relaxed, PBE.

Lattice parameters (Å, degrees): 4.8816 4.8816 4.8816 142.95 128.78 64.89
Fractional positions:
Zn: 0.0000 0.0000 0.0000
Cr: 0.2599 0.7599 0.5000
Cr: 0.7401 0.2401 0.5000
W: 0.5000 0.5000 0.0000

Values from the calculation:
DFT formation energy = 0.294 eV/atom
uncorrected energy = -8.07 eV/atom
V = 13.48 Å³ per atom



ZnCr3W: relaxed, PBE.

Lattice parameters (Å, degrees): 4.4438 4.4438 4.4438 90.00 90.00 90.00
Fractional positions:
Zn: 0.0000 0.0000 0.0000
Cr: 0.0000 0.0000 0.5000
Cr: 0.0000 0.5000 0.0000
Cr: 0.5000 0.0000 0.0000
W: 0.5000 0.5000 0.5000

Values from the calculation:
energy above the most stable polymorph in this dataset = 173.3 meV/atom
DFT formation energy = 1.702 eV/atom
uncorrected energy = -6.92 eV/atom
V = 17.55 Å³ per atom



ZnCr2W: relaxed, PBE.

Lattice parameters (Å, degrees): 2.5851 4.1871 5.0629 90.00 101.62 90.00
Fractional positions:
Zn: 0.0000 0.0000 0.0000
Cr: 0.5996 0.0000 0.4756
Cr: 0.8141 0.5000 0.2570
W: 0.3244 0.5000 0.7372

Values from the calculation:
DFT formation energy = 0.233 eV/atom
uncorrected energy = -8.14 eV/atom
V = 13.42 Å³ per atom



ZnCr2W: relaxed, PBE.

Lattice parameters (Å, degrees): 9.2019 9.2019 9.2019 16.60 16.60 16.60
Fractional positions:
Zn: 0.0000 0.0000 0.0000
Cr: 0.2525 0.2525 0.2525
Cr: 0.7475 0.7475 0.7475
W: 0.5000 0.5000 0.5000

Values from the calculation:
DFT formation energy = 0.440 eV/atom
uncorrected energy = -7.93 eV/atom
V = 13.86 Å³ per atom



Zn3CrW: relaxed, PBE.

Lattice parameters (Å, degrees): 4.8792 4.8792 4.8792 90.00 90.00 90.00
Fractional positions:
Zn: 0.0000 0.0000 0.5000
Zn: 0.0000 0.5000 0.0000
Zn: 0.5000 0.0000 0.0000
Cr: 0.5000 0.5000 0.5000
W: 0.0000 0.0000 0.0000

Values from the calculation:
energy above the most stable polymorph in this dataset = 0.0 meV/atom
DFT formation energy = 1.375 eV/atom
uncorrected energy = -3.90 eV/atom
V = 23.23 Å³ per atom



ZnCrW: relaxed, PBE.

Lattice parameters (Å, degrees): 4.1801 4.1801 4.1801 60.00 60.00 60.00
Fractional positions:
Zn: 0.0000 0.0000 0.0000
Cr: 0.5000 0.5000 0.5000
W: 0.7500 0.7500 0.7500

Values from the calculation:
energy above the most stable polymorph in this dataset = 901.7 meV/atom
DFT formation energy = 1.117 eV/atom
uncorrected energy = -6.83 eV/atom
V = 17.22 Å³ per atom

~~~~~

• Exercise:
Now count the lines earlier on that contain the word "parameters" and give the number alone.

• Written answer:
6